## Input
Calculated powder X-ray diffraction pattern
Compound: U2H5
Radiation: Cu Kα (weighted mean of Kα1 and Kα2)
Structure: a DFT-relaxed cell (PBE, Alexandria)
Peak positions follow from Bragg's law for the DFT cell and can differ from measured ones.

Main lines, by angle (2θ = 10–90°):
2θ 30.4, rel. 100; 2θ 31.9, rel. 22; 2θ 32.4, rel. 21; 2θ 46.1, rel. 17; 2θ 55.9, rel. 19; 2θ 56.5, rel. 18

Structure:
```
data_U2H5
_chemical_formula_sum 'U8 H20'
_symmetry_space_group_name_H-M 'I b a m'
_symmetry_Int_Tables_number 72
_symmetry_space_group_name_Hall '-I 2 2c'
_cell_length_a 5.609
_cell_length_b 11.068
_cell_length_c 4.413
_cell_angle_alpha 90.00
_cell_angle_beta 90.00
_cell_angle_gamma 90.00
loop_
_atom_site_label
_atom_site_fract_x
_atom_site_fract_y
_atom_site_fract_z
U1 0.241 0.123 0.000
H1 0.000 0.255 0.250
H2 0.000 0.500 0.250
H3 0.154 0.078 0.500
```

----------

Structure and calculated X-ray powder pattern of MgNpCoOs (DFT lattice parameters and positions (PBE); Cu Kα, 1.54184 Å).
No peak broadening, texture or thermal motion is included.

Main lines, low angle first (2θ from 10° to 80°):
23.93°, rel. 54
39.57°, rel. 100
46.78°, rel. 29
57.21°, rel. 17
62.89°, rel. 12
71.79°, rel. 35

Cell and atoms:
Lattice parameters (Å, degrees): 6.4413 6.4413 6.4413 90.00 90.00 90.00
Space group F-43m (No. 216)
One atom of each set of equivalent atoms:
Mg1 0.0000 0.0000 0.0000 x4
Np1 0.0000 0.0000 0.5000 x4
Co1 0.2500 0.2500 0.7500 x4
Os1 0.2500 0.2500 0.2500 x4
## Activity
Now set down every line earlier on that contains the word "Cu".
## Outcome
Radiation: Cu Kα (weighted mean of Kα1 and Kα2)
Structure and calculated X-ray powder pattern of MgNpCoOs (DFT lattice parameters and positions (PBE); Cu Kα, 1.54184 Å).